INDIAN LAKE CLUB, INC. – Indian Lake Estates
Board of Directors Meeting
August, 11, 2013
(revised August 25, 2013)

## These calculated molecules were left in the entry by mistake
1.
DFT (wB97M-V/def2-TZVPD) results for a cluster of 3 separate species, C2H10NO3 in total in a non-equilibrium geometry.

Last column: Mulliken charge in e.
Positions of all 16 atoms, in Å:
1 C -0.663 0.873 1.142  -0.499
2 O -0.216 -0.421 0.959  -0.581
3 C 0.079 1.883 0.281  -0.443
4 N 1.543 1.862 0.560  -0.704
5 H -1.751 0.979 1.019  0.277
6 H -0.497 1.185 2.189  0.282
7 H 0.038 1.579 -0.767  0.280
8 H -0.288 2.902 0.350  0.352
9 H 1.783 0.874 0.500  0.300
10 H 1.677 2.118 1.532  0.224
11 H 0.535 -2.708 -2.097  0.335
12 H 0.655 -3.742 -1.048  0.331
13 O 1.007 -3.546 -1.933  -0.687
14 H -1.663 -1.594 -1.887  0.119
15 H -0.721 -0.801 0.148  0.434
16 O -1.519 -1.442 -0.950  -1.018

Values from the calculation:
Energy relative to the best compared isomer or geometry (same formula, charge and spin)   60.6 kJ/mol
Electronic energy   -362.68431 Eh
Spin multiplicity   1
LUMO energy   0.153 hartree
Frontier orbital gap   8.076 eV
Charge   -1



2.
DFT (wB97M-V/def2-TZVPD) results for a cluster of 3 separate species, C2H10NO3 in total in a non-equilibrium geometry.

Last column: Mulliken charge in e.
Positions of all 16 atoms, in Å:
1 C 0.822 0.058 0.985  -0.355
2 O 0.333 1.388 0.691  -0.606
3 C -0.502 -0.949 1.323  -0.614
4 N -1.129 -1.618 0.187  -0.644
5 H 1.157 -0.285 0.098  0.233
6 H 1.424 0.079 1.868  0.338
7 H -0.338 -1.774 2.331  0.202
## So much for the calculated molecules

The meeting was called to order at 8:02 a.m.
Presiding:  Everett Bedenbaugh – President
Attending:  Dick Hennig – Vice President, Dave Crocker, Michael Gould
Absent:  Ed Tisdale – Secretary, Susan Sciullo – Treasurer, John Pappas
Members:  Joyce Bedenbaugh (acting secretary), Frank Campbell
Documents provided to Board members:  President’s Report, Treasurer’s Report, Secretary’s Report, Dam
Committee Report, Water Report, 2014 Budget Draft, Erosion Control Report (Rob Bennett), Audit Report (Don
Hair), Nominating Committee Report (Frank Campbell)
Key Decisions and Information:
1.        The minutes of the June 8, 2013 meeting were approved at 8:19 a.m. – proposed by Michael, seconded by
President’s Report:
2.        Don Harrison was told incorrectly that he could not be present during the regular board of directors’
discussions.  Everett will let him know.  They close on their property sale September 6.
3.        Chris Bartol called Everett and reported an incident occurred at the dam during the July 4th holiday in
which some people were playing at the dam and spillway.  Chris was concerned about the legal liability of playing
in the area.  Michael also talked to Chris about the incident; Dave mentioned how enticing it is for folks to be in
the area.  Everett will address the issue at the annual meeting in September.  Additional signage may be needed
in the future; the area is off limits at present due to major work on the dam in the near future.
4.        There appears to be an increase in interest in property sales: Don & Louise Harrison’s property has sold
recently and the Richardsons bought the Eaton’s property. Everett has had several calls from real estate agents
concerning certain properties and about ILC covenants and assessments.  Michael’s real estate agent said some
activity is occurring in general but vacation home sales are still about two years behind.
5.        Everett has taken on the assignment of roadside maintenance – see Roadside Trimming Guideline 2013
and attached member petition signatures and email statements.  Dave asked if the roadsides were under his
responsibility.  Everett stated that no committee has been assigned to oversee roadside maintenance but that the
board may want to assign it to a committee or create a new committee in the future.  Everett stated that we have
returned to the original guidelines for maintenance except the banks are not being cut unless they hinder road
use, provide hiding places for snakes or block site lines. Michael commented that the wildflowers seen along the
banks look nice.  Dave mentioned he had an area that could be trimmed.  Everett said he could place blue
reflectors where he did not want cut.

Treasurer’s Report:
6.        Everett said the Treasurer’s Report, Balance Sheet and A/R Aging Summary were sent via emails from
Susan Sciullo who is in Sri Lanka. Everett said the Club has approximately $50K in money market funds and
approximately $80K in savings/reserve for a total cash balance of $129K.  Outstanding liability on loans is $38K
which is more than 50% of the original $80K loan amount and will be paid off by 2015.  Everett pointed out that
Susan’s report recommended The Board discuss collection actions on two members whose assessments are in
arrears. He also stated that the board had been very lenient with the members making payments. Everett
recommended The Board should proceed with lien-holds on these two properties.  Michael stated that the club
should not have exceptions to payment rules.
7.        Proposal was made by Michael Gould to proceed with liens on the Godwin and Vermeulen properties,
seconded by Dick Henig.  The vote in favor was unanimous.
8.        Everett stated the bank trustee for the Leblow property had requested information.  Susan sent a copy of
the Club’s W-9, a copy of the delinquent assessment on the Leblow property and the Club’s address.
9.        Everett stated that Robert Hinnant had contacted him about how much he owed in assessments on his
property.  Hinnant said he is putting his property up for sale.  We received a check for $2,162.52 last week to
settle his balance.
10.        Everett reviewed the A/R Aging Summary with the Board members.

Secretary’s Report:
11.        In regards to the Secretary’s Report about The Club’s old computer being too slow, Dave Crocker stated
that he has two laptops for Club use if needed.  Everett stated that the Club will keep the offer in mind until a new
Club Secretary is appointed.
12.        Proposal to accept Treasurer’s and Secretary’s Reports by Dick Hennig, seconded by Dave Crocker.

Community Speaks:
13.        No community members requested to speak.

Committee Reports –
Water Committee Report:

These quantum chemistry results were left in the article by mistake:
........
Formula: C7H13N3O4
Source: the OMol25 dataset
Level of theory: ωB97M-V/def2-TZVPD

Calculated total energy in hartree: -739.7533
Frontier orbital gap in eV: 9.91
Charge: 0
HOMO level in eV: -9.40

CARTESIAN COORDINATES (ANGSTROEM)
1 O 5.137 -0.252 -1.038
2 C 4.044 -0.043 -0.533
3 C 3.410 1.215 -0.491
4 C 2.216 1.325 0.157
5 N 1.611 0.323 0.843
6 C 0.200 0.583 1.305
7 O -0.713 0.621 0.265
8 C -0.545 -0.493 -0.543
9 C -1.828 -0.749 -1.331
10 O -2.946 -1.289 -0.607
11 C 2.289 -0.925 0.902
12 O 1.837 -1.944 1.412
13 N 3.380 -1.038 0.091
14 H 3.860 2.063 -1.004
15 H 1.675 2.246 0.449
16 H 0.067 -0.357 1.946
17 H -0.032 1.533 1.781
18 H -0.468 -1.405 0.101
19 H 0.353 -0.368 -1.141
20 H -2.112 0.260 -1.634
21 H -1.596 -1.467 -2.172
22 H -3.515 -0.574 -0.280
23 H 3.877 -1.906 0.084
24 N -4.812 0.465 0.233
25 H -4.667 0.790 1.230
26 H -5.037 1.373 -0.265
27 H -5.681 0.013 0.241

Here are the Löwdin charges for atoms 1 to 2, given in e:
1. O 0.067
2. C -0.517

=====

[1]
2 unconnected molecules or ions with the total composition C2H4F2Si, computed with the ωB97M-V functional and the def2-TZVPD basis.

```
9
Properties=species:S:1:pos:R:3:forces:R:3
F -0.310 1.320 -1.631 0.1949 -0.5761 -0.0772
Si 0.148 1.255 -0.082 -1.0012 -0.5475 -0.7151
H -0.707 2.287 0.439 -1.0101 -0.0894 0.9871
C 1.130 -1.776 2.604 0.1738 2.7042 0.2409
H 1.319 2.075 -0.029 1.4989 -0.3872 0.1590
H 0.040 -0.224 0.423 0.2707 1.5926 -0.4325
C 1.396 -0.641 2.944 0.0513 -2.0031 -0.1286
H 1.871 0.185 3.400 0.0133 0.3224 0.1411
F 0.636 -2.763 1.993 -0.1916 -1.0159 -0.1747
```
Forces are in eV/Å.

Computed properties:
gap between HOMO and LUMO = 11.419 eV
SMILES = F[SiH3].C#CF
HOMO = -10.8 eV

Atom-resolved charges from Mulliken, all expressed in e: atom 1 (F): -0.271, atom 2 (Si): 0.585, atom 3 (H): -0.108, atom 4 (C): 0.280, atom 5 (H): -0.101, atom 6 (H): -0.110, atom 7 (C): -0.404, atom 8 (H): 0.334, atom 9 (F): -0.205

=====

[2]
2 unconnected molecules or ions with the total composition C2H4F3N, computed with the ωB97M-V functional and the def2-TZVPD basis.

```
10
Properties=species:S:1:pos:R:3:forces:R:3
H -0.692 -0.990 0.925 -0.0680 -0.5859 2.0280
F 2.107 0.045 0.949 -0.2466 0.4687 -0.6464
F 1.832 -1.719 -0.195 -0.1686 -0.1441 -0.7094
F 1.773 0.241 -1.276 -0.0252 -0.9889 1.4847
C -1.251 0.646 -0.032 -0.6800 0.2797 1.4587
H -2.298 0.576 -0.221 -1.6243 0.1343 0.0950
N -0.841 -0.670 0.016 -0.6540 -1.0695 -1.8182
H -1.146 1.224 0.906 0.2100 0.0943 -0.6105
C 1.484 -0.456 -0.133 2.2005 0.8435 -0.3885
H -0.969 1.103 -0.939 1.0562 0.9678 -0.8934
```
Forces are in eV/Å.

Computed properties:
gap between HOMO and LUMO (alpha / beta) = 9.258 / 8.582 eV
<S²> = 2.006
HOMO (alpha / beta) = -8.2 / -10.3 eV
2S+1 = 3

Atom-resolved charges from Mulliken, all expressed in e: atom 1 (H): 0.262, atom 2 (F): -0.214, atom 3 (F): -0.190, atom 4 (F): -0.203, atom 5 (C): -0.734, atom 6 (H): 0.337, atom 7 (N): -0.487, atom 8 (H): 0.291, atom 9 (C): 0.587, atom 10 (H): 0.351

=====

[3]
........
End of the quantum chemistry results:

14.        Dick reviewed the letter from NCDENR of August 2, 2013.  Deficiencies have been corrected with the
exception of Paragraph 1.  Dick stated that there is a more recent copy of a letter from 2009 from Jerry Merrill, a
consultant who stated that our current well system is approved for approximately ninety (90) houses.  Dick has
requested a copy of the letter from Jerry.
15.        Dick reported there is a rodent problem at one of the wells and that he is working to eradicate the
16.        Dick pointed out that Paragraph 3 states that a check of the wells be performed at least once a week.  He
stated that the Club is paying an operator (Aubrey) to check the wells five days a week.  A discussion followed
about how frequently we should test the wells.  Michael stated that the community may feel the water is safer if we
continue to test more often than the state requires.  Dick will investigate to determine exactly what NCDENR
requires and to ask Aubrey how often other communities test their water systems.
17.        Dave asked how old the underground water pipe system throughout the community is.  Frank and Dick
stated that most of the system is original to the development of the community and that the pipes are all PVC.  It is
suspected that the various problems experienced two to three years ago were a direct result of heavy trucks
during the dam repairs and replacement of electrical cables.
18.        There was a discussion about rust showing through the paint on the Hiwassee water storage tank.  Frank
reported that the painter suggested that a vent fan be installed to reduce the humidity in the Hiwassee well
house.  Dick stated that he will follow up on the issue.
19.        Dick reported that he is getting cost estimates for replacing the Hiwassee storage tank with a bladder tank
system.  A discussion followed.
20.        Dick reported there is a suspected leak in the Hiwassee system area.  He is investigating.
21.        Dave stated he will get a cost estimate for adding wiring to one of the water pumps so that a generator
can be used to pump water in an emergency.  He volunteered the use of his generator in the event of a
prolonged power outage.

Roads Committee Report:
22.        Dave stated there is no new business to report.

Dam Committee Report:
23.        Everett referred to John Pappas’ “Amendment to Report” that we have a favorable report from NCDENR
on the progress of dam repairs.
24.        A discussion followed, begun by Michael concerning costs expected for the dam repair project.  Whitmire
Grading’s initial bid was approximately $100K.  Based on the modified project plan, it is expected the cost may
decrease.  However, the original bid did not include costs for repairing the access road (beside the Harrison’s
property.)  Michael expressed his concern about recurring problems with the dam even after the repairs are
completed.  Dave brought up the question of maybe installing a liner on the lake side of the dam to prevent
25.        Dick questioned if the Harrison’s deed provides for permanent right-of-way to the dam access road.
Everett is to contact the Harrison’s to confirm the deed passes right-of-way to the new owners.  At the same time,
Everett will send a letter to the Harrisons to confirm that the dam access road will be repaired as part of the dam
repair project.

Architectural Control Committee Report:
26.        Michael reported that the Richardsons received approval to add a storage shed on their property.
27.        Michael stated that Chris Bartol approached him about deeding to The Club a portion of his property that
is part of the dam.  Michael will contact Chris and inform him that the expense for a survey, new deed, etc. must
be born by the Bartols.
28.        Michael stated that Lois Noyes informed him that a trailer was parked on Thunderbird Lane in front of the
Carlens’s property and blocked the Noyes’ access to their property.  Everett stated he would talk to the Coopers,
owner of the trailer.

Beautification Committee Report:
29.        Joyce Bedenbaugh reported that a load of mulch had been purchased and spread at the Waterfront Park
and entrance.
30.        The Committee has plans to weed and prune the rocky outcrop.
31.        The ILC Labor Day picnic will be held on Monday, September 2, and will also be a celebration to honor
Don and Louise Harrison before they move to Knoxville.  She will have Bonnie Crocker prepare an email invitation
with details.
32.        Dave requested that some flowers be moved as they obstruct the entrance sign.  Joyce stated that the
Committee plans to relocate the flowers this fall.
33.        Proposal was made by Dave to approve all Committee Reports as read, seconded by Dick.

Website Committee Report:
34.        No new business to report.

Old Business:
35.        Dave reported that he has a copy of Brevard’s ordinance concerning owning chickens.  He will present a
proposal at the Annual Members Meeting.

New Business:
36.        Everett requested that each Board Member make a presentation of their reports at the Annual Members
Meeting.  Reports should include past accomplishments and plans for 2014.
37.        Everett reported that the Beautification Committee has agreed to provide refreshments at the Annual
Members Meeting.
38.        No invoices to be cleared.
39.        Everett reported that the Nominating Committee has been selected, Frank Campbell, chairman.  Frank
reported that his committee includes Joanne Revie and Janet Mailloux.  Frank also reported they have two
members who have accepted nominations: Julie Coggins and Barbara Pence.  Their biographies are included in
his report.
40.        Everett reported that the 2014 Budget Committee consists of Susan Sciullo, chairperson, Don Hair,
Everett Bedenbaugh and Gerry Gawronski.  He reported the committee’s recommendation is to raise annual
assessments from $941.00 to $984.00 and to provide for installment payments for owners with multiple lots.
41.        Everett gave time for the Board members to study the 2014 Budget Draft and to ask any questions.  A
discussion followed.
42.        Proposal was made by Michael to accept the 2014 Budget Draft as read, seconded by Dick, voting in
favor was unanimous (write-in votes from John Pappas and Susan Sciullo.)
43.        Erosion Control: Everett reported that Rob Bennett submitted a bid for work to provide erosion control at
the ditches.  After discussion, Everett asked Dick and Dave to meet with Rob and prepare a more detailed
proposal and cost estimate.
44.        Audit Report: Everett presented the audit letter from Don Hair in which he stated that the Club’s books
are well organized and are maintained in appropriate order.
45.        Proposal was made by Everett to accept the Audit Report as read, seconded by Dick, voting to approve
was unanimous.
46.        Impact fee:  Michael made a motion to add a $100.00 penalty assessment if impact fees are not paid prior
to construction.  Proposal was made by Michael, seconded by Dick, voting was in favor by Everett, Michael and
Dick, opposed by Dave.
47.        Dave suggested that sterile Koi fish be released into Rainbow Lake to reduce algae growth.  Everett will
contact Jerry Hollar to investigate and report back to the Board.
48.        Dick will develop a proposal clarifying the ability of the Board to use their discretion to set terms,
conditions and prices for the sale of Club-owned property.

Next Meeting:  Annual Members Meeting, Saturday, September 14, 2013 at 10:00 a.m. at the Fire House.
Board of Directors meeting to follow afterwards.
There being no further business, Dave proposed the meeting be adjourned, Dick seconded.  The meeting was
adjourned at 9:56 a.m.

____________________________________                __________________________________
Joyce Bedenbaugh – acting Secretary                        Everett Bedenbaugh – President